**Data**
........
Entry 1:
The following is a r²SCAN calculation of CsNb6Cl15 after structural relaxation, from the Materials Project.

CIF file:
```
data_CsNb6Cl15
_chemical_formula_sum 'Cs4 Nb24 Cl60'
_symmetry_space_group_name_H-M 'P 1'
_symmetry_Int_Tables_number 1
_cell_length_a 18.262
_cell_length_b 13.761
_cell_length_c 9.670
_cell_angle_alpha 90.00
_cell_angle_beta 90.00
_cell_angle_gamma 90.00
loop_
_symmetry_equiv_pos_as_xyz
'x,y,z'
loop_
_atom_site_label
_atom_site_type_symbol
_atom_site_fract_x
_atom_site_fract_y
_atom_site_fract_z
Cs1 Cs 0.250 0.247 0.199
Cs2 Cs 0.250 0.753 0.199
Cs3 Cs 0.750 0.247 0.801
Cs4 Cs 0.750 0.753 0.801
Nb1 Nb 0.031 0.107 0.859
Nb2 Nb 0.031 0.893 0.859
Nb3 Nb 0.104 0.000 0.081
Nb4 Nb 0.169 0.393 0.686
Nb5 Nb 0.169 0.607 0.686
Nb6 Nb 0.250 0.500 0.474
Nb7 Nb 0.250 0.500 0.898
Nb8 Nb 0.331 0.393 0.686
Nb9 Nb 0.331 0.607 0.686
Nb10 Nb 0.396 0.000 0.081
Nb11 Nb 0.469 0.107 0.859
Nb12 Nb 0.469 0.893 0.859
Nb13 Nb 0.531 0.107 0.141
Nb14 Nb 0.531 0.893 0.141
Nb15 Nb 0.604 0.000 0.919
Nb16 Nb 0.669 0.393 0.314
Nb17 Nb 0.669 0.607 0.314
Nb18 Nb 0.750 0.500 0.102
Nb19 Nb 0.750 0.500 0.526
Nb20 Nb 0.831 0.393 0.314
Nb21 Nb 0.831 0.607 0.314
Nb22 Nb 0.896 0.000 0.919
Nb23 Nb 0.969 0.107 0.141
Nb24 Nb 0.969 0.893 0.141
Cl1 Cl 0.000 0.250 0.000
Cl2 Cl 0.000 0.750 0.000
Cl3 Cl 0.061 0.500 0.688
Cl4 Cl 0.068 0.250 0.682
Cl5 Cl 0.068 0.750 0.682
Cl6 Cl 0.072 0.000 0.669
Cl7 Cl 0.088 0.124 0.265
Cl8 Cl 0.088 0.876 0.265
Cl9 Cl 0.152 0.378 0.433
Cl10 Cl 0.152 0.622 0.433
Cl11 Cl 0.155 0.377 0.940
Cl12 Cl 0.155 0.623 0.940
Cl13 Cl 0.159 0.123 0.929
Cl14 Cl 0.159 0.877 0.929
Cl15 Cl 0.250 0.000 0.183
Cl16 Cl 0.250 0.249 0.677
Cl17 Cl 0.250 0.500 0.187
Cl18 Cl 0.250 0.751 0.677
Cl19 Cl 0.341 0.123 0.929
Cl20 Cl 0.341 0.877 0.929
Cl21 Cl 0.345 0.377 0.940
Cl22 Cl 0.345 0.623 0.940
Cl23 Cl 0.348 0.378 0.433
Cl24 Cl 0.348 0.622 0.433
Cl25 Cl 0.412 0.124 0.265
Cl26 Cl 0.412 0.876 0.265
Cl27 Cl 0.428 0.000 0.669
Cl28 Cl 0.432 0.250 0.682
Cl29 Cl 0.432 0.750 0.682
Cl30 Cl 0.439 0.500 0.688
Cl31 Cl 0.500 0.250 0.000
Cl32 Cl 0.500 0.750 0.000
Cl33 Cl 0.561 0.500 0.312
Cl34 Cl 0.568 0.250 0.318
Cl35 Cl 0.568 0.750 0.318
Cl36 Cl 0.572 0.000 0.331
Cl37 Cl 0.588 0.124 0.735
Cl38 Cl 0.588 0.876 0.735
Cl39 Cl 0.652 0.378 0.567
Cl40 Cl 0.652 0.622 0.567
Cl41 Cl 0.655 0.377 0.060
Cl42 Cl 0.655 0.623 0.060
Cl43 Cl 0.659 0.123 0.071
Cl44 Cl 0.659 0.877 0.071
Cl45 Cl 0.750 0.000 0.817
Cl46 Cl 0.750 0.249 0.323
Cl47 Cl 0.750 0.500 0.813
Cl48 Cl 0.750 0.751 0.323
Cl49 Cl 0.841 0.123 0.071
Cl50 Cl 0.841 0.877 0.071
Cl51 Cl 0.845 0.377 0.060
Cl52 Cl 0.845 0.623 0.060
Cl53 Cl 0.848 0.378 0.567
Cl54 Cl 0.848 0.622 0.567
Cl55 Cl 0.912 0.124 0.735
Cl56 Cl 0.912 0.876 0.735
Cl57 Cl 0.928 0.000 0.331
Cl58 Cl 0.932 0.250 0.318
Cl59 Cl 0.932 0.750 0.318
Cl60 Cl 0.939 0.500 0.312
```



Entry 2:
The following is a r²SCAN calculation of LaSbSe after structural relaxation, from the Materials Project.

CIF file:
```
data_LaSbSe
_chemical_formula_sum 'La4 Sb4 Se4'
_symmetry_space_group_name_H-M 'P 1'
_symmetry_Int_Tables_number 1
_cell_length_a 4.273
_cell_length_b 18.614
_cell_length_c 6.045
_cell_angle_alpha 90.00
_cell_angle_beta 134.86
_cell_angle_gamma 90.00
loop_
_symmetry_equiv_pos_as_xyz
'x,y,z'
loop_
_atom_site_label
_atom_site_type_symbol
_atom_site_fract_x
_atom_site_fract_y
_atom_site_fract_z
La1 La 0.008 0.149 0.263
La2 La 0.008 0.351 0.763
La3 La 0.992 0.649 0.237
La4 La 0.992 0.851 0.737
Sb1 Sb 0.476 0.000 0.232
Sb2 Sb 0.476 0.500 0.732
Sb3 Sb 0.524 0.000 0.768
Sb4 Sb 0.524 0.500 0.268
Se1 Se 0.008 0.186 0.762
Se2 Se 0.008 0.314 0.262
Se3 Se 0.992 0.686 0.738
Se4 Se 0.992 0.814 0.238
```



Entry 3:
The following is a r²SCAN calculation of K4GeSe4 after structural relaxation, from the Materials Project.

CIF file:
```
data_K4GeSe4
_chemical_formula_sum 'K32 Ge8 Se32'
_symmetry_space_group_name_H-M 'P 1'
_symmetry_Int_Tables_number 1
_cell_length_a 13.317
_cell_length_b 13.317
_cell_length_c 13.317
_cell_angle_alpha 90.00
_cell_angle_beta 90.00
........

**Activity**
Echo the whole of the calculation results earlier on with every line break kept, please.

**Response**
Entry 1:
The following is a r²SCAN calculation of CsNb6Cl15 after structural relaxation, from the Materials Project.

CIF file:
```
data_CsNb6Cl15
_chemical_formula_sum 'Cs4 Nb24 Cl60'
_symmetry_space_group_name_H-M 'P 1'
_symmetry_Int_Tables_number 1
_cell_length_a 18.262
_cell_length_b 13.761
_cell_length_c 9.670
_cell_angle_alpha 90.00
_cell_angle_beta 90.00
_cell_angle_gamma 90.00
loop_
_symmetry_equiv_pos_as_xyz
'x,y,z'
loop_
_atom_site_label
_atom_site_type_symbol
_atom_site_fract_x
_atom_site_fract_y
_atom_site_fract_z
Cs1 Cs 0.250 0.247 0.199
Cs2 Cs 0.250 0.753 0.199
Cs3 Cs 0.750 0.247 0.801
Cs4 Cs 0.750 0.753 0.801
Nb1 Nb 0.031 0.107 0.859
Nb2 Nb 0.031 0.893 0.859
Nb3 Nb 0.104 0.000 0.081
Nb4 Nb 0.169 0.393 0.686
Nb5 Nb 0.169 0.607 0.686
Nb6 Nb 0.250 0.500 0.474
Nb7 Nb 0.250 0.500 0.898
Nb8 Nb 0.331 0.393 0.686
Nb9 Nb 0.331 0.607 0.686
Nb10 Nb 0.396 0.000 0.081
Nb11 Nb 0.469 0.107 0.859
Nb12 Nb 0.469 0.893 0.859
Nb13 Nb 0.531 0.107 0.141
Nb14 Nb 0.531 0.893 0.141
Nb15 Nb 0.604 0.000 0.919
Nb16 Nb 0.669 0.393 0.314
Nb17 Nb 0.669 0.607 0.314
Nb18 Nb 0.750 0.500 0.102
Nb19 Nb 0.750 0.500 0.526
Nb20 Nb 0.831 0.393 0.314
Nb21 Nb 0.831 0.607 0.314
Nb22 Nb 0.896 0.000 0.919
Nb23 Nb 0.969 0.107 0.141
Nb24 Nb 0.969 0.893 0.141
Cl1 Cl 0.000 0.250 0.000
Cl2 Cl 0.000 0.750 0.000
Cl3 Cl 0.061 0.500 0.688
Cl4 Cl 0.068 0.250 0.682
Cl5 Cl 0.068 0.750 0.682
Cl6 Cl 0.072 0.000 0.669
Cl7 Cl 0.088 0.124 0.265
Cl8 Cl 0.088 0.876 0.265
Cl9 Cl 0.152 0.378 0.433
Cl10 Cl 0.152 0.622 0.433
Cl11 Cl 0.155 0.377 0.940
Cl12 Cl 0.155 0.623 0.940
Cl13 Cl 0.159 0.123 0.929
Cl14 Cl 0.159 0.877 0.929
Cl15 Cl 0.250 0.000 0.183
Cl16 Cl 0.250 0.249 0.677
Cl17 Cl 0.250 0.500 0.187
Cl18 Cl 0.250 0.751 0.677
Cl19 Cl 0.341 0.123 0.929
Cl20 Cl 0.341 0.877 0.929
Cl21 Cl 0.345 0.377 0.940
Cl22 Cl 0.345 0.623 0.940
Cl23 Cl 0.348 0.378 0.433
Cl24 Cl 0.348 0.622 0.433
Cl25 Cl 0.412 0.124 0.265
Cl26 Cl 0.412 0.876 0.265
Cl27 Cl 0.428 0.000 0.669
Cl28 Cl 0.432 0.250 0.682
Cl29 Cl 0.432 0.750 0.682
Cl30 Cl 0.439 0.500 0.688
Cl31 Cl 0.500 0.250 0.000
Cl32 Cl 0.500 0.750 0.000
Cl33 Cl 0.561 0.500 0.312
Cl34 Cl 0.568 0.250 0.318
Cl35 Cl 0.568 0.750 0.318
Cl36 Cl 0.572 0.000 0.331
Cl37 Cl 0.588 0.124 0.735
Cl38 Cl 0.588 0.876 0.735
Cl39 Cl 0.652 0.378 0.567
Cl40 Cl 0.652 0.622 0.567
Cl41 Cl 0.655 0.377 0.060
Cl42 Cl 0.655 0.623 0.060
Cl43 Cl 0.659 0.123 0.071
Cl44 Cl 0.659 0.877 0.071
Cl45 Cl 0.750 0.000 0.817
Cl46 Cl 0.750 0.249 0.323
Cl47 Cl 0.750 0.500 0.813
Cl48 Cl 0.750 0.751 0.323
Cl49 Cl 0.841 0.123 0.071
Cl50 Cl 0.841 0.877 0.071
Cl51 Cl 0.845 0.377 0.060
Cl52 Cl 0.845 0.623 0.060
Cl53 Cl 0.848 0.378 0.567
Cl54 Cl 0.848 0.622 0.567
Cl55 Cl 0.912 0.124 0.735
Cl56 Cl 0.912 0.876 0.735
Cl57 Cl 0.928 0.000 0.331
Cl58 Cl 0.932 0.250 0.318
Cl59 Cl 0.932 0.750 0.318
Cl60 Cl 0.939 0.500 0.312
```



Entry 2:
The following is a r²SCAN calculation of LaSbSe after structural relaxation, from the Materials Project.

CIF file:
```
data_LaSbSe
_chemical_formula_sum 'La4 Sb4 Se4'
_symmetry_space_group_name_H-M 'P 1'
_symmetry_Int_Tables_number 1
_cell_length_a 4.273
_cell_length_b 18.614
_cell_length_c 6.045
_cell_angle_alpha 90.00
_cell_angle_beta 134.86
_cell_angle_gamma 90.00
loop_
_symmetry_equiv_pos_as_xyz
'x,y,z'
loop_
_atom_site_label
_atom_site_type_symbol
_atom_site_fract_x
_atom_site_fract_y
_atom_site_fract_z
La1 La 0.008 0.149 0.263
La2 La 0.008 0.351 0.763
La3 La 0.992 0.649 0.237
La4 La 0.992 0.851 0.737
Sb1 Sb 0.476 0.000 0.232
Sb2 Sb 0.476 0.500 0.732
Sb3 Sb 0.524 0.000 0.768
Sb4 Sb 0.524 0.500 0.268
Se1 Se 0.008 0.186 0.762
Se2 Se 0.008 0.314 0.262
Se3 Se 0.992 0.686 0.738
Se4 Se 0.992 0.814 0.238
```



Entry 3:
The following is a r²SCAN calculation of K4GeSe4 after structural relaxation, from the Materials Project.

CIF file:
```
data_K4GeSe4
_chemical_formula_sum 'K32 Ge8 Se32'
_symmetry_space_group_name_H-M 'P 1'
_symmetry_Int_Tables_number 1
_cell_length_a 13.317
_cell_length_b 13.317
_cell_length_c 13.317
_cell_angle_alpha 90.00
_cell_angle_beta 90.00